'''
Entry 1:
VASP calculation (GGA-PBE) on a geometry-optimized CaZn2Br6O6 structure.

The structure in extended XYZ format:
```
30
Lattice="6.483 -5.279 0.000 6.483 5.279 0.000 -2.619 0.000 11.181" Properties=species:S:1:pos:R:3 pbc="T T T"
Ca 1.201 0.000 3.283
Ca 9.144 0.000 7.898
Zn 1.620 0.000 7.477
Zn 5.429 0.000 2.700
Zn 4.917 0.000 8.481
Zn 8.726 0.000 3.703
Br 3.548 3.343 4.727
Br 4.237 2.093 1.913
Br 6.798 3.343 6.454
Br 2.593 0.000 9.670
Br 3.698 0.000 6.270
Br 6.109 2.093 9.267
Br 4.237 -2.093 1.913
Br 6.648 0.000 4.910
Br 7.753 0.000 1.511
Br 3.548 -3.343 4.727
Br 6.109 -2.093 9.267
Br 6.798 -3.343 6.454
O 1.210 1.120 1.017
O 3.285 3.679 6.462
O 1.378 0.000 0.316
O 1.210 -1.120 1.017
O 7.061 3.679 4.718
O 3.503 0.000 3.323
O 6.843 0.000 7.858
O 3.285 -3.679 6.462
O 9.136 1.120 10.163
O 8.967 0.000 10.864
O 7.061 -3.679 4.718
O 9.136 -1.120 10.163
```

Results
Crystal system   monoclinic
Relative energy among the computed polymorphs   8 meV per atom
M_tot   4.0 μB per cell

***

Entry 2:
VASP calculation (GGA-PBE) on a geometry-optimized CaZn2Br6O6 structure.

The structure in extended XYZ format:
```
30
Lattice="5.714 -4.634 0.000 5.714 4.634 0.000 -3.625 0.000 15.384" Properties=species:S:1:pos:R:3 pbc="T T T"
Ca -0.426 0.000 3.479
Ca 8.228 0.000 11.905
Zn 0.879 0.000 11.021
Zn 3.432 0.000 3.333
Zn 4.370 0.000 12.050
Zn 6.924 0.000 4.363
Br 2.656 2.783 5.514
Br 4.091 1.924 1.996
Br 0.487 0.000 13.295
Br 5.147 2.783 9.870
Br 3.711 1.924 13.388
Br 2.878 0.000 9.802
Br 4.925 0.000 5.582
Br 4.091 -1.924 1.996
Br 2.656 -2.783 5.514
Br 7.315 0.000 2.089
Br 3.711 -1.924 13.388
Br 5.147 -2.783 9.870
O 1.274 3.527 13.885
O 1.111 0.000 0.855
O 4.288 3.241 5.055
O 3.515 3.241 10.329
O 6.528 3.527 1.498
O 1.726 0.000 4.122
O 6.077 0.000 11.261
O 1.274 -3.527 13.885
O 4.288 -3.241 5.055
O 3.515 -3.241 10.329
O 6.692 0.000 14.529
O 6.528 -3.527 1.498
```

Results
Crystal system   monoclinic
Relative energy among the computed polymorphs   0 meV per atom
M_tot   4.0 μB per cell

***

Entry 3:
VASP calculation (GGA-PBE) on a geometry-optimized CdBr2 structure.

The structure in extended XYZ format:
```
6
Lattice="4.074 0.000 0.000 -2.037 3.528 0.000 0.000 0.000 14.255" Properties=species:S:1:pos:R:3 pbc="T T T"
Cd 0.000 2.352 0.000
Cd 2.037 1.176 7.128
Br 0.000 0.000 1.568
Br 0.000 0.000 8.695
Br 0.000 2.352 5.559
Br 2.037 1.176 12.686
```

Results
Crystal system   hexagonal
Largest piezoelectric modulus   0.003 C/m²
Total energy after the MP2020 corrections   -0.1939 Ry per atom

***

Entry 4:
VASP calculation (GGA-PBE) on a geometry-optimized CdBr2 structure.

The structure in extended XYZ format:
```
6
Lattice="2.035 1.175 13.571 -2.035 1.175 13.571 0.000 -2.350 13.571" Properties=species:S:1:pos:R:3 pbc="T T T"
Cd 0.000 0.000 0.000
Cd 0.000 0.000 20.356
Br 0.000 0.000 5.210
Br 0.000 0.000 11.995
Br 0.000 0.000 28.717
Br 0.000 0.000 35.502
```

Results
Crystal system   trigonal
Total energy after the MP2020 corrections   -0.1937 Ry per atom

***

Entry 5:
VASP calculation (GGA-PBE) on a geometry-optimized CdBr2 structure.

The structure in extended XYZ format:
```
3
Lattice="2.039 1.177 6.853 -2.039 1.177 6.853 0.000 -2.354 6.853" Properties=species:S:1:pos:R:3 pbc="T T T"
Cd 0.000 0.000 0.000
Br 0.000 0.000 5.287
Br 0.000 0.000 15.273
```

Results
Crystal system   trigonal
Total energy after the MP2020 corrections   -0.1938 Ry per atom

***

Entry 6:
VASP calculation (GGA-PBE) on a geometry-optimized Cs3CdBr5 structure.

The structure in extended XYZ format:
```
18
Lattice="-4.931 4.931 8.137 4.931 -4.931 8.137 4.931 4.931 -8.137" Properties=species:S:1:pos:R:3 pbc="T T T"
Cs 6.515 1.585 0.000
Cs 0.000 0.000 4.069
Cs 1.585 3.346 0.000
Cs 3.346 1.585 8.137
Cs 0.000 0.000 12.206
Cs -1.585 3.346 8.137
Cd 4.931 0.000 4.069
Cd 0.000 4.931 4.069
Br 0.000 0.000 0.000
Br 6.397 -1.466 2.459
Br 3.465 -1.466 5.678
Br 3.465 1.466 2.459
Br 6.397 1.466 5.678
Br 0.000 0.000 8.137
Br -1.466 3.465 2.459
Br 1.466 3.465 5.678
Br 1.466 6.397 2.459
'''
Please retype the whole of the listing earlier on without additions.
Entry 1:
VASP calculation (GGA-PBE) on a geometry-optimized CaZn2Br6O6 structure.

The structure in extended XYZ format:
```
30
Lattice="6.483 -5.279 0.000 6.483 5.279 0.000 -2.619 0.000 11.181" Properties=species:S:1:pos:R:3 pbc="T T T"
Ca 1.201 0.000 3.283
Ca 9.144 0.000 7.898
Zn 1.620 0.000 7.477
Zn 5.429 0.000 2.700
Zn 4.917 0.000 8.481
Zn 8.726 0.000 3.703
Br 3.548 3.343 4.727
Br 4.237 2.093 1.913
Br 6.798 3.343 6.454
Br 2.593 0.000 9.670
Br 3.698 0.000 6.270
Br 6.109 2.093 9.267
Br 4.237 -2.093 1.913
Br 6.648 0.000 4.910
Br 7.753 0.000 1.511
Br 3.548 -3.343 4.727
Br 6.109 -2.093 9.267
Br 6.798 -3.343 6.454
O 1.210 1.120 1.017
O 3.285 3.679 6.462
O 1.378 0.000 0.316
O 1.210 -1.120 1.017
O 7.061 3.679 4.718
O 3.503 0.000 3.323
O 6.843 0.000 7.858
O 3.285 -3.679 6.462
O 9.136 1.120 10.163
O 8.967 0.000 10.864
O 7.061 -3.679 4.718
O 9.136 -1.120 10.163
```

Results
Crystal system   monoclinic
Relative energy among the computed polymorphs   8 meV per atom
M_tot   4.0 μB per cell

***

Entry 2:
VASP calculation (GGA-PBE) on a geometry-optimized CaZn2Br6O6 structure.

The structure in extended XYZ format:
```
30
Lattice="5.714 -4.634 0.000 5.714 4.634 0.000 -3.625 0.000 15.384" Properties=species:S:1:pos:R:3 pbc="T T T"
Ca -0.426 0.000 3.479
Ca 8.228 0.000 11.905
Zn 0.879 0.000 11.021
Zn 3.432 0.000 3.333
Zn 4.370 0.000 12.050
Zn 6.924 0.000 4.363
Br 2.656 2.783 5.514
Br 4.091 1.924 1.996
Br 0.487 0.000 13.295
Br 5.147 2.783 9.870
Br 3.711 1.924 13.388
Br 2.878 0.000 9.802
Br 4.925 0.000 5.582
Br 4.091 -1.924 1.996
Br 2.656 -2.783 5.514
Br 7.315 0.000 2.089
Br 3.711 -1.924 13.388
Br 5.147 -2.783 9.870
O 1.274 3.527 13.885
O 1.111 0.000 0.855
O 4.288 3.241 5.055
O 3.515 3.241 10.329
O 6.528 3.527 1.498
O 1.726 0.000 4.122
O 6.077 0.000 11.261
O 1.274 -3.527 13.885
O 4.288 -3.241 5.055
O 3.515 -3.241 10.329
O 6.692 0.000 14.529
O 6.528 -3.527 1.498
```

Results
Crystal system   monoclinic
Relative energy among the computed polymorphs   0 meV per atom
M_tot   4.0 μB per cell

***

Entry 3:
VASP calculation (GGA-PBE) on a geometry-optimized CdBr2 structure.

The structure in extended XYZ format:
```
6
Lattice="4.074 0.000 0.000 -2.037 3.528 0.000 0.000 0.000 14.255" Properties=species:S:1:pos:R:3 pbc="T T T"
Cd 0.000 2.352 0.000
Cd 2.037 1.176 7.128
Br 0.000 0.000 1.568
Br 0.000 0.000 8.695
Br 0.000 2.352 5.559
Br 2.037 1.176 12.686
```

Results
Crystal system   hexagonal
Largest piezoelectric modulus   0.003 C/m²
Total energy after the MP2020 corrections   -0.1939 Ry per atom

***

Entry 4:
VASP calculation (GGA-PBE) on a geometry-optimized CdBr2 structure.

The structure in extended XYZ format:
```
6
Lattice="2.035 1.175 13.571 -2.035 1.175 13.571 0.000 -2.350 13.571" Properties=species:S:1:pos:R:3 pbc="T T T"
Cd 0.000 0.000 0.000
Cd 0.000 0.000 20.356
Br 0.000 0.000 5.210
Br 0.000 0.000 11.995
Br 0.000 0.000 28.717
Br 0.000 0.000 35.502
```

Results
Crystal system   trigonal
Total energy after the MP2020 corrections   -0.1937 Ry per atom

***

Entry 5:
VASP calculation (GGA-PBE) on a geometry-optimized CdBr2 structure.

The structure in extended XYZ format:
```
3
Lattice="2.039 1.177 6.853 -2.039 1.177 6.853 0.000 -2.354 6.853" Properties=species:S:1:pos:R:3 pbc="T T T"
Cd 0.000 0.000 0.000
Br 0.000 0.000 5.287
Br 0.000 0.000 15.273
```

Results
Crystal system   trigonal
Total energy after the MP2020 corrections   -0.1938 Ry per atom

***

Entry 6:
VASP calculation (GGA-PBE) on a geometry-optimized Cs3CdBr5 structure.

The structure in extended XYZ format:
```
18
Lattice="-4.931 4.931 8.137 4.931 -4.931 8.137 4.931 4.931 -8.137" Properties=species:S:1:pos:R:3 pbc="T T T"
Cs 6.515 1.585 0.000
Cs 0.000 0.000 4.069
Cs 1.585 3.346 0.000
Cs 3.346 1.585 8.137
Cs 0.000 0.000 12.206
Cs -1.585 3.346 8.137
Cd 4.931 0.000 4.069
Cd 0.000 4.931 4.069
Br 0.000 0.000 0.000
Br 6.397 -1.466 2.459
Br 3.465 -1.466 5.678
Br 3.465 1.466 2.459
Br 6.397 1.466 5.678
Br 0.000 0.000 8.137
Br -1.466 3.465 2.459
Br 1.466 3.465 5.678
Br 1.466 6.397 2.459